### File
____________
A 3-piece molecular cluster, C4H14O2 overall. Source: the Open Molecules 2025 dataset; level of theory: ωB97M-V/def2-TZVPD.

CARTESIAN COORDINATES (ANGSTROEM)
1 C 3.12941 0.32051 -0.03375
2 C 1.83350 -0.63571 -0.00101
3 C 1.01696 -0.20332 1.34380
4 C 0.87445 -0.48476 -1.23112
5 H 3.90173 0.46325 0.72980
6 H 3.68857 -0.04232 -0.92907
7 H 2.97690 1.37905 -0.23255
8 H 2.21168 -1.74652 0.26200
9 H 0.47458 0.69872 1.06889
10 H 1.70528 -0.05909 2.37065
11 H 0.34484 -1.12281 1.50687
12 H 1.51048 -0.62760 -2.09053
13 H 0.14335 -1.30095 -1.04870
14 H 0.42091 0.48472 -1.21034
15 O -3.52225 0.20903 2.51305
16 H -3.47553 1.03619 2.04355
17 H -2.58439 -0.04123 2.56323
18 O -4.64350 0.79912 -2.32078
19 H -5.02509 -0.03624 -2.09772
20 H -4.98187 0.90998 -3.20626

structure (SMILES)	CC(C)C.O.O
Kohn-Sham gap	11.32	eV
HOMO	-10.6	eV
LUMO energy	0.74	eV


C16H10AgF6N3O3S4Sb as an isolated structure. Source: the Open Molecules 2025 dataset; level of theory: ωB97M-V/def2-TZVPD.

CARTESIAN COORDINATES (ANGSTROEM)
1 Ag -0.98345 0.16474 -0.58643
2 O 3.04811 1.37377 -2.75695
3 C 3.86448 1.56485 -1.71287
4 C 5.11535 2.14743 -1.94123
5 C 5.98485 2.36838 -0.89103
6 C 5.62700 2.01600 0.40767
7 C 4.38804 1.43968 0.63199
8 C 3.49360 1.20384 -0.40844
9 C 2.15633 0.57178 -0.17686
10 O 1.43194 0.36069 -1.18806
11 N 1.88363 0.26469 1.09045
12 N 0.62429 -0.21218 1.21133
13 C 0.30292 -0.79161 2.30008
14 C -1.06106 -1.30962 2.47410
15 C -1.41520 -1.97560 3.64857
16 C -2.69240 -2.49056 3.77108
17 C -3.58678 -2.32981 2.72465
18 C -3.15248 -1.64188 1.59826
19 N -1.93378 -1.14256 1.47665
20 H 2.22181 0.96741 -2.36247
21 H 5.37302 2.41631 -2.95740
22 H 6.95111 2.82091 -1.08500
23 H 6.30853 2.18710 1.23152
24 H 4.07581 1.14959 1.62534
25 H 1.03060 -0.93643 3.10033
26 H -0.68559 -2.08836 4.44006
27 H -2.98458 -3.01992 4.67046
28 H -4.59037 -2.72852 2.76894
29 H -3.81019 -1.48069 0.75135
30 O -5.75850 5.39939 -0.69099
31 C -4.91098 4.53754 -0.70815
32 S -5.15534 2.93397 -1.39358
33 C -3.56831 2.24401 -1.04372
34 C -2.66516 3.11182 -0.38350
35 S -1.10339 2.78549 0.09395
36 S -3.29900 4.72337 -0.02905
37 S -3.32866 0.66254 -1.53340
38 F -0.87155 -2.45506 -1.35956
39 Sb -1.02093 -3.88880 -2.59784
40 F -1.82955 -4.95223 -1.24722
41 F -2.73546 -3.26030 -3.10700
42 F -1.19373 -5.33267 -3.82236
43 F -0.22412 -2.83776 -3.95182
44 F 0.67915 -4.54078 -2.08186

Kohn-Sham gap (spin up / spin down)	6.74 / 6.01	eV
total charge	-2
spin multiplicity	2
⟨S²⟩	0.767
HOMO (spin up / spin down)	-2.4 / -2.7	eV
LUMO energy (spin up / spin down)	4.31 / 3.30	eV


C10H17N3O3 in the gas phase. Source: the Open Molecules 2025 dataset; level of theory: ωB97M-V/def2-TZVPD.

CARTESIAN COORDINATES (ANGSTROEM)
1 C -1.37360 -3.49316 -2.72872
2 N -0.83032 -2.20491 -2.28670
3 C -1.52644 -1.11020 -1.95072
4 O -2.77367 -1.12358 -1.89685
5 C -0.70395 0.15100 -1.71622
6 C -1.55247 1.43026 -1.57486
7 C -1.80700 1.46431 -0.04162
8 C -0.50742 0.98224 0.52919
9 N 0.06224 0.05892 -0.45700
10 C 1.10535 -0.72809 -0.28613
11 O 1.57535 -1.39553 -1.20243
12 C 1.71444 -0.76478 1.13096
13 N 2.95443 -1.54192 1.22281
14 C 3.83087 -1.43851 2.23255
15 C 5.06046 -2.30115 2.12664
16 O 3.70431 -0.65699 3.15475
17 H -1.33706 -4.24142 -1.94334
18 H -2.40436 -3.36326 -3.03217
19 H -0.90734 -3.84575 -3.63599
20 H 0.18979 -2.06044 -2.24317
21 H 0.00299 0.23398 -2.53824
22 H -2.48294 1.44822 -2.15435
23 H -0.95880 2.30956 -1.85871
24 H -2.06440 2.45929 0.31352
25 H -2.57638 0.71556 0.16199
26 H -0.68809 0.49380 1.50335
27 H 0.17466 1.83156 0.64301
28 H 1.91814 0.25471 1.47276
29 H 0.97349 -1.16446 1.84913
30 H 3.15019 -2.11612 0.40108
31 H 5.47622 -2.58309 3.10530
32 H 4.82394 -3.19199 1.54707
33 H 5.78905 -1.74372 1.58989

structure (SMILES)	CNC(=O)[C@H]1CCCN1C(=O)CNC(C)=O
Kohn-Sham gap	10.05	eV
HOMO	-9.5	eV
LUMO energy	0.58	eV


A 2-piece molecular cluster, C5H10F3O3 overall. Source: the Open Molecules 2025 dataset; level of theory: ωB97M-V/def2-TZVPD.

CARTESIAN COORDINATES (ANGSTROEM)
1 C 4.81809 -3.26390 5.03686
____________
### What to do
The reader should give back the listing further above with every line break kept.
### Written answer
A 3-piece molecular cluster, C4H14O2 overall. Source: the Open Molecules 2025 dataset; level of theory: ωB97M-V/def2-TZVPD.

CARTESIAN COORDINATES (ANGSTROEM)
1 C 3.12941 0.32051 -0.03375
2 C 1.83350 -0.63571 -0.00101
3 C 1.01696 -0.20332 1.34380
4 C 0.87445 -0.48476 -1.23112
5 H 3.90173 0.46325 0.72980
6 H 3.68857 -0.04232 -0.92907
7 H 2.97690 1.37905 -0.23255
8 H 2.21168 -1.74652 0.26200
9 H 0.47458 0.69872 1.06889
10 H 1.70528 -0.05909 2.37065
11 H 0.34484 -1.12281 1.50687
12 H 1.51048 -0.62760 -2.09053
13 H 0.14335 -1.30095 -1.04870
14 H 0.42091 0.48472 -1.21034
15 O -3.52225 0.20903 2.51305
16 H -3.47553 1.03619 2.04355
17 H -2.58439 -0.04123 2.56323
18 O -4.64350 0.79912 -2.32078
19 H -5.02509 -0.03624 -2.09772
20 H -4.98187 0.90998 -3.20626

structure (SMILES)	CC(C)C.O.O
Kohn-Sham gap	11.32	eV
HOMO	-10.6	eV
LUMO energy	0.74	eV


C16H10AgF6N3O3S4Sb as an isolated structure. Source: the Open Molecules 2025 dataset; level of theory: ωB97M-V/def2-TZVPD.

CARTESIAN COORDINATES (ANGSTROEM)
1 Ag -0.98345 0.16474 -0.58643
2 O 3.04811 1.37377 -2.75695
3 C 3.86448 1.56485 -1.71287
4 C 5.11535 2.14743 -1.94123
5 C 5.98485 2.36838 -0.89103
6 C 5.62700 2.01600 0.40767
7 C 4.38804 1.43968 0.63199
8 C 3.49360 1.20384 -0.40844
9 C 2.15633 0.57178 -0.17686
10 O 1.43194 0.36069 -1.18806
11 N 1.88363 0.26469 1.09045
12 N 0.62429 -0.21218 1.21133
13 C 0.30292 -0.79161 2.30008
14 C -1.06106 -1.30962 2.47410
15 C -1.41520 -1.97560 3.64857
16 C -2.69240 -2.49056 3.77108
17 C -3.58678 -2.32981 2.72465
18 C -3.15248 -1.64188 1.59826
19 N -1.93378 -1.14256 1.47665
20 H 2.22181 0.96741 -2.36247
21 H 5.37302 2.41631 -2.95740
22 H 6.95111 2.82091 -1.08500
23 H 6.30853 2.18710 1.23152
24 H 4.07581 1.14959 1.62534
25 H 1.03060 -0.93643 3.10033
26 H -0.68559 -2.08836 4.44006
27 H -2.98458 -3.01992 4.67046
28 H -4.59037 -2.72852 2.76894
29 H -3.81019 -1.48069 0.75135
30 O -5.75850 5.39939 -0.69099
31 C -4.91098 4.53754 -0.70815
32 S -5.15534 2.93397 -1.39358
33 C -3.56831 2.24401 -1.04372
34 C -2.66516 3.11182 -0.38350
35 S -1.10339 2.78549 0.09395
36 S -3.29900 4.72337 -0.02905
37 S -3.32866 0.66254 -1.53340
38 F -0.87155 -2.45506 -1.35956
39 Sb -1.02093 -3.88880 -2.59784
40 F -1.82955 -4.95223 -1.24722
41 F -2.73546 -3.26030 -3.10700
42 F -1.19373 -5.33267 -3.82236
43 F -0.22412 -2.83776 -3.95182
44 F 0.67915 -4.54078 -2.08186

Kohn-Sham gap (spin up / spin down)	6.74 / 6.01	eV
total charge	-2
spin multiplicity	2
⟨S²⟩	0.767
HOMO (spin up / spin down)	-2.4 / -2.7	eV
LUMO energy (spin up / spin down)	4.31 / 3.30	eV


C10H17N3O3 in the gas phase. Source: the Open Molecules 2025 dataset; level of theory: ωB97M-V/def2-TZVPD.

CARTESIAN COORDINATES (ANGSTROEM)
1 C -1.37360 -3.49316 -2.72872
2 N -0.83032 -2.20491 -2.28670
3 C -1.52644 -1.11020 -1.95072
4 O -2.77367 -1.12358 -1.89685
5 C -0.70395 0.15100 -1.71622
6 C -1.55247 1.43026 -1.57486
7 C -1.80700 1.46431 -0.04162
8 C -0.50742 0.98224 0.52919
9 N 0.06224 0.05892 -0.45700
10 C 1.10535 -0.72809 -0.28613
11 O 1.57535 -1.39553 -1.20243
12 C 1.71444 -0.76478 1.13096
13 N 2.95443 -1.54192 1.22281
14 C 3.83087 -1.43851 2.23255
15 C 5.06046 -2.30115 2.12664
16 O 3.70431 -0.65699 3.15475
17 H -1.33706 -4.24142 -1.94334
18 H -2.40436 -3.36326 -3.03217
19 H -0.90734 -3.84575 -3.63599
20 H 0.18979 -2.06044 -2.24317
21 H 0.00299 0.23398 -2.53824
22 H -2.48294 1.44822 -2.15435
23 H -0.95880 2.30956 -1.85871
24 H -2.06440 2.45929 0.31352
25 H -2.57638 0.71556 0.16199
26 H -0.68809 0.49380 1.50335
27 H 0.17466 1.83156 0.64301
28 H 1.91814 0.25471 1.47276
29 H 0.97349 -1.16446 1.84913
30 H 3.15019 -2.11612 0.40108
31 H 5.47622 -2.58309 3.10530
32 H 4.82394 -3.19199 1.54707
33 H 5.78905 -1.74372 1.58989

structure (SMILES)	CNC(=O)[C@H]1CCCN1C(=O)CNC(C)=O
Kohn-Sham gap	10.05	eV
HOMO	-9.5	eV
LUMO energy	0.58	eV


A 2-piece molecular cluster, C5H10F3O3 overall. Source: the Open Molecules 2025 dataset; level of theory: ωB97M-V/def2-TZVPD.

CARTESIAN COORDINATES (ANGSTROEM)
1 C 4.81809 -3.26390 5.03686